His side of the story

On the other side of the network.

"Hey, there is the Netherworld boss waiting for you. Get ready, it will appear soon." The deep voice of the CEO sounded from the second-floor balcony.

"We can't, Hongjie, is not here." the team captain answered from below. The ten computers in two rows and another few on sides were this team base. Because every professional team needed a good background.

And thanks to this CEO who helped his younger brother establish Zhu long, The Vermillion Dragon. He helped the kids to have a better background, accumulated money, and provided funding. Same as in the game.

Top raking Shopkeeper, master of the five-star-rated guild. An amazing business executive, but a helpless player.

It was amazing how different the Jin brothers were. One was a top-ranking swordmaster, and the other was a funny guardian that sometimes accidentally forgot to taunt or activate buffs.

One would buy whatever he did not need for all the money he had, the second had the brain to win millions. Together, they were the perfect combo.

"Why is he not here?" asked the older brother Jin Lei, CEO, baffled, when he walked out of his room and leaned over the balcony railings to see the open floor below.

"His mom. He had to go talk to her because she had problems with him playing games like this. So I let him. It's better for him to talk to her now than if she comes later and forcefully takes him away," answered the team captain, Jin Chao, the younger brother.

"Why do we have only one healer?" Lei sighed and went downstairs to the team. He sat behind one of the free computers.

"Because it's hard to find a talented healer?" Chao asked sarcastically, earning a long death glare from his older brother.

Lei logged into the SoL, the Secret of Legends, and looked up healers ranking on their server. For once, they could go with an outsider.

This boss would appear only once a month. And they had better things to do next month than wait for it to appear. They needed materials for armors and weapons.

He sighed once again because none of the healers in the top ten were online. He looked to the next page and saw one online gamer. Blacklily. Guildless. Healer. Female character.

How could a healer be guildless? A healer was useless without a team. And it's a woman. She had to be good to get to this level without a guild. Or she was a male.

"Everyone here speaks English?" Lei asked, looking around. All except Yitian and Chao raised their hands and nodded at the same time.

But Lei didn't have to ask Yitian and Chao, he knew how smart these two were, and knew that Chao lived for a while in the USA with him.

"Then I'm sending her the invitation… She might not be Chinese..." Lei said and Chao jerked his way. All looked at him in disbelief.

"Her? She?" Chao asked, full of doubt. But others got excited, especially Wuchen. That flamboyant womanizer. They started bartering about who was going to play, and which strategy should they use to protect her.

"Hey, I will only lead her your way and that's it," Lei said and did exactly that. He sent her a message, and after that, an invitation to their party while giving the lead to Chao. Then he exited the game, going to a business party he needed to get ready.

Chao stared at his brother, thinking that he had gone crazy. Jin Lei invited an outsider and women to help them. He definitely lost his mind.


"Did you lose your mind, because she is a girl?" Chao exclaimed and got up from his seat.

This Blacklily wasn't bad. She was quite skilled as a healer. They lost her in the middle of the fight with the boss.

They were still getting healed and debuffed, so he didn't care that much. It was nice to not care for a healer once in a while, but Chao's pride received an unhealable wound.

But give her all the ultra-rare materials and BUY weapons from her? That he couldn't apprehend.

"Think a bit about her name…" Lei was calm, as always, but Chao was perplexed. He just shook his head and sat back in his chair.

"I don't know, it didn't ring a bell," Chao said, and Lei noticed him turning to his neighborhood player, Yitian. They were really close friends, closer than most people, and Lei was glad that Yitian was such a friend to Chao.

"Her name is the one with the rare god-level staff." Yitian looked at Chao and answered Lei instead of him.

Yeah, only one god-level made staff in the game. Players wanted it badly, but the creator and owner didn't sell it. His face lit up. No wonder Blacklily was a wonderful healer. She was the owner.

Lei saw Yitian explaining something to Chao, being close to him, so he stood up from his chair and decided to oversee their players' progress. They looked good and were making steady progress. Some weren't playing as long as Chao and Yitian, so they still had to level up.

But they were all over the hundredth level, allowed to enter God's domain. So they were able to take part in the inter-servers quests and arena. They all fulfilled the requirement to enter the pro league.

"How did she manage to buy it? How much did she pay?" Chao turned to Lei, who was standing behind others, watching their progression. Lei shook his head and sighed. How come his brother was an amazing strategist in the game, but sometimes he was so dumb?

"She did not buy it. She made it, idiot," Lei straightened up and said. Chao gawked at him.

"Yes, she…" Lei insisted once more when he saw his brother's confused expression.

"So, you gave her those things and told her to make us a weapon, because you hope she makes a god-level weapon for us?" Lei nodded. He knew it was heartless to use others, but as long as he won and didn't hurt anyone in the process. And she looked rather willing.

"You are using her?" Chao said. And Lei nodded. Lei knew what his brother thought of him, that he was a ruthless bastard. But he did all of it for him. And didn't care about others.

~~~
Starting from DFT lattice parameters and positions (PBE+U), the X-ray diffraction stick pattern of SrNbFeSnO6 was computed for Cu Kα (weighted mean of Kα1 and Kα2).
Lines closer than 0.1° are merged.

Atomic structure:
```
SrNbFeSnO6
1.0
0.000 4.026 4.026
4.026 0.000 4.026
4.026 4.026 0.000
Sr Nb Fe Sn O
1 1 1 1 6
direct
0.000 0.000 0.000
0.250 0.250 0.250
0.750 0.750 0.750
0.500 0.500 0.500
0.001 0.001 0.499
0.001 0.499 0.001
0.001 0.499 0.499
0.499 0.001 0.001
0.499 0.001 0.499
0.499 0.499 0.001
```

Main lines, sorted by position (2θ from 5° to 70°):
| d/Å | Position (°2θ) | Rel. int. |
| --- | --- | --- |
| 4.649 | 19.09 | 4.9 |
| 2.847 | 31.42 | 100.0 |
| 2.428 | 37.03 | 2.9 |
| 2.325 | 38.74 | 8.1 |
| 2.013 | 45.03 | 34.9 |
| 1.847 | 49.33 | 1.3 |
| 1.644 | 55.94 | 39.7 |
| 1.550 | 59.66 | 1.1 |
| 1.423 | 65.58 | 20.9 |
| 1.361 | 69.00 | 1.1 |
~~~


"Leiiiii." Loud yelling woke Jin Lei up. He stood up, opened the door, and looked down from the balcony.

"Hmm." He mumbled, totally asleep still, yet he got up from the bed and looked down from the balcony.

He came back from yesterday's drinking party with investors in his father's company, so he had a brutal headache and felt like dying.

"She made the weapon," Chao said, grinning, still sitting behind his computer. Of course, he would grin. He couldn't lose. Either she would make an awesome weapon boosting his team level or she would make shit and he was right and Lei was wrong. In both cases, Chao was the winner.

Lei descended the stairs and logged into the game as Thunder. He wasn't using it much nowadays. Only for some guild things. Because he loved the business side of the game more than monsters battling.

[Group]Blacklily: Let's get over it... It's 3 am and I probably need some sleep...

[Group]SIG: Wow... You are a true gamer, huh?

It took Lei a few minutes to make any reason for what they were talking about. Even though he knew he wrote something, he was so half asleep he did not know what he had written.

[Group]Blacklily: More like a real dummy…

[Group]Blacklily: I made a sword. Are you willing to pay 1,5 mil. gold?

Lei calculated inside his head. Either it was a really shitty weapon or she went really low on price. But even if they dismantle it and use the material again, they would still profit from it.

[Group]Thunder: No problem.

[Group]Blacklily: Okay... sending a private offer...

[Group]Blacklily: Nice to deal with you. Bye-bye.

[World]Player Thunder purchased Secret weapon from Blacklily

[World]Loveplaying256: What the f**k?

[World]Pantercat: Secret? What's Secret? That's a level of a weapon?

[World]Demoverse: Who made it? That guy must be lucky af... Made big cash...

Lei just could process what just happened. Neither could any of the guys. They slowly came to stand behind him one by one and soon Yitian, Chao, and others were staring at the game window where world chat became crazy. And when they read what it was about, well, they didn't get it.

"Boss? Have you just purchased a secret weapon? Is it the first one in-game?" Huobai asked, teasing him by calling him boss, waking Lei up by it.

"Yes, it was supposed to help you become a legend. It's simply in the game's name. But no one could ever make or find it. Not even NPCs. It was the most known secret in the game," Lei said. He read all the materials behind the game, the establishment, and references.

One of the developers said that there are secret weapons, supposedly helping you to become a legend. No one knew they really meant a secret-level weapon. Not just some secret hidden weapons.

"It's not only hard to follow the recipe for the secret level, though. It's hard to get and follow. I was lucky enough to have one before. Tried it. I messed up just a little, and it disappeared from inventory," Chao said. Someone made a whistling sound.

"So, that girl just made a weapon that is impossible to make and sold it to us for laughable money?!" the youngest one, Shanshan, in the game HNYG, exclaimed, not believing his ears.

"Yup, Shanshan, she definitely knew how rare this is. But she still sold it to us a lot under the recommended price. I do not know if we are lucky or she was." Chao marveled, thinking hard about the character of the girl.

"But Lei, we are going to use it, right?" Yixing didn't know what they were talking about, but he wanted to see the weapon in action. Jin Lei nodded.

It would be stupidity not to use it. After all, it was a secret weapon. And there was no rule for tournaments, that used items had to be self-made. Jin Lei was curious about how many secret items were already made on other continents, like Europe or North America.

That girl was surely dumb. She could make serious money out of this. But she said thanks for the fun. And Jin Lei almost already forgot that that was the reason for playing.